Atlantis Theories
Atlantis Theories
Atlantis Theories
Among the cryptic stories everyone knows since childhood, the myth of Atlantis is
probably one of the most thrilling and mysterious ones. The idea of a huge continent
lying underwater, once inhabited by a supposedly ingenious civilization is intriguing on
its own, and the numerous hints and clues that Atlantis was a real place make
archaeologists, historians, and adventurers across the globe seek for its remains with
enviable enthusiasm. Still, the myth of Atlantis is controversial and debated, and there
are numerous theories regarding where it was located, which people inhabited it, and
why this civilization disappeared.
During the 20th century, scientists and pseudo-scientists still held interest in this
subject; in particular, a German anthropologist, Leo Frobenius, similarly to Kirchmaier,
stated that Atlantis indeed was located in Africa, but unlike the latter, Frobenius
believed that it existed in Sudan. Several decades later, in 1952, Willy Ley, a rocket
pioneer, and L. Sprague de Camp, a science-fiction author, put Atlantis in Spain (the
town of Cadiz), and by the end of the decade, Dr. Angelos Galanopoulos, a Greek
seismologist, introduced evidence that Atlantis was located on the island of Thera in the
Aegean Sea. Surprisingly, this theory seems to have been closer to the truth than any
other at the time; Thera is a sunken island, and when in the end of 1960s an English
oceanographer, James W. Mavor, researched the area specified by Galanopoulos, he
found evidence proving this theory to be at least partially correct ( As we
can see, however, theories regarding Atlantis are often contradictory; besides, no direct
evidence such as the examples of writing, pottery, arts, armor, and so on have been
Before the 19th century, Atlantis was more of a myth romantic seekers of truth tried to
prove; however, in 1882, Ignatius Donnelly published a book titled “Atlantis, the
Antediluvian World”; in this manuscript, he proved that Atlantis was not a mere legend
crafted by Plato, but could be a historical reality. Donnelly believed there must have
been an incredibly advanced ancient civilization that invented metallurgy, agriculture,
astronomy, and so on, and from which other, less sophisticated (according to Donnelly)
civilizations must have had inherited knowledge and technologies. He also believed that
Atlantis was located right where Plato described: near the Pillars of Hercules by the
Straits of Gibraltar; the Atlantic ocean’s “shifting waters,” as he called it, sank the
continent on which Atlantis was located. Continental plate tectonics shows that
-- What comes next are data records, not part of the piece --
____________
No. 1
This entry pairs a crystal structure of LaTb2PrS4 with its simulated XRD peak list. Radiation: CuKα. Structure: the GGA-PBE geometry in Alexandria.
Intensities are scaled so that the largest is 100.

Main lines, by intensity (2θ from 10° to 80°):
2theta  d [Å]  intensity  index
31.35  2.854  100  2 0 0
27.06  3.295  76  1 1 2
44.92  2.018  72  2 2 0
53.23  1.721  38  3 1 2
74.33  1.276  32  4 2 0
55.80  1.648  25  2 2 4
72.14  1.309  15  3 3 2
65.41  1.427  12  4 0 0

Structural model:
Unit cell a=5.7053 b=5.7053 c=11.4220 alpha=90.00 beta=90.00 gamma=90.00
Space group I4/mmm (No. 139)
Inequivalent atoms, fractional coordinates:
La 0.0000 0.0000 0.0000 [2 per cell]
Tb 0.0000 0.5000 0.2500 [4 per cell]
Pr 0.0000 0.0000 0.5000 [2 per cell]
S 0.0000 0.0000 0.2504 [4 per cell]
S 0.0000 0.5000 0.0000 [4 per cell]

No. 2
This entry pairs a crystal structure of LaCe2HoBi4 with its simulated XRD peak list. Radiation: CuKα. Structure: the GGA-PBE geometry in Alexandria.
Intensities are scaled so that the largest is 100.

Main lines, by intensity (2θ from 10° to 80°):
2theta  d [Å]  intensity  index
27.44  3.250  100  1 1 1
39.20  2.298  79  0 2 0
64.06  1.453  38  1 3 1
48.52  1.876  29  0 0 4
71.04  1.327  28  2 0 -6
56.64  1.625  14  2 2 2
23.71  3.753  5  0 0 2
46.33  1.960  3  0 2 2
62.26  1.491  1  2 2 -4
76.09  1.251  1  1 3 3

Structural model:
Unit cell a=7.9579 b=4.5978 c=7.9618 alpha=90.00 beta=109.48 gamma=90.00
Space group P2/m (No. 10)
Inequivalent atoms, fractional coordinates:
La 0.0000 0.0000 0.0000 [1 per cell]
Ce 0.0000 0.5000 0.5000 [1 per cell]
Ce 0.5000 0.0000 0.5000 [1 per cell]
Ho 0.5000 0.5000 0.0000 [1 per cell]
Bi 0.2573 0.5000 0.2518 [2 per cell]
Bi 0.2577 0.0000 0.7532 [2 per cell]

No. 3
This entry pairs a crystal structure of Sm8Tm3Th with its simulated XRD peak list. Radiation: CuKα. Structure: the GGA-PBE geometry in Alexandria.
Intensities are scaled so that the largest is 100.

Main lines, by intensity (2θ from 10° to 80°):
2theta  d [Å]  intensity  index
32.25  2.776  100  1 0 3
29.61  3.017  22  0 2 -3
29.77  3.001  22  0 2 3
30.02  2.977  15  0 1 4
49.79  1.831  14  2 0 0
54.34  1.688  9  1 -2 6
59.10  1.563  8  2 2 3
59.00  1.566  7  2 2 -3
42.57  2.124  6  0 0 6
54.22  1.692  5  1 2 -6

Structural model:
Unit cell a=3.6628 b=8.5246 c=12.7431 alpha=90.30 beta=90.02 gamma=90.00
Space group P1 (No. 1)
Inequivalent atoms, fractional coordinates:
Sm 0.0000 0.0000 0.0000 [1 per cell]
Sm 0.0001 0.0427 0.6890 [1 per cell]
Sm 0.0005 0.5553 0.0559 [1 per cell]
Sm 0.9997 0.5591 0.3386 [1 per cell]
Sm 0.5000 0.2982 0.8861 [1 per cell]
Sm 0.5001 0.7287 0.5552 [1 per cell]
Sm 0.5010 0.7282 0.8331 [1 per cell]
Sm 0.5016 0.2433 0.2040 [1 per cell]
Tm 0.0001 0.4509 0.6895 [1 per cell]
Tm 0.0007 0.9956 0.3963 [1 per cell]
Tm 0.4999 0.2909 0.4954 [1 per cell]
Th 0.4999 0.8380 0.1978 [1 per cell]

- What is the formula in the third record?
  Sm8Tm3Th

----------
____________
Donnelly’s theory is incorrect, but it happened to be extremely tenacious, so even
nowadays many people believed Atlantis to have existed (if at all) right where Plato said
it did. This theory also inspired other people to start looking for Atlantis, spawning
dozens of newer speculations. One of them belongs to Charles Berlitz, an author who
mostly wrote about various paranormal phenomena. Berlitz claimed that Atlantis sank in
the infamous Bermuda Triangle ( This theory combines extremely well with
the speculations of mystics researching the Triangle; people believe that since Atlantis
must have been a technologically-advanced civilization, then (if it sank in the Bermuda
triangle) it explains why so many ships disappeared in that region: ancient technology
must be influencing navigational systems, sailors’ minds, and more. Obviously, none of
these theories stands up to criticism, but they still remain popular.
Robert Ballard, an explorer who discovered Titanic’s wreckage, says that even though
the story of Atlantis looks logical, there is not enough evidence to state it is true.
Indeed, there were numerous cataclysms occurring throughout humankind’s history,
causing cities and even nations to disappear (remember the eruption of Vesuvius
eradicating the city of Pompeii, for example); 3600 years ago, a powerful volcanic
eruption destroyed the island of Santorini in the Aegean Sea, along with the Minoan
civilization inhabiting it. However, even though this is the closest historical parallel to
Atlantis, Ballard says Minoans could not be Atlantis, because the time of Santorini’s
destruction does not match with the one Plato mentioned in his stories about Atlantis
(National Geographic).
+++
No. 1
Structure and theoretical powder diffractogram of Ba3Mo (a GGA-PBE-relaxed structure; Cu Kα).
No peak broadening, texture or thermal motion is included.

Main lines, sorted by position (10° ≤ 2θ ≤ 90°):
2θ/deg, intensity
17.46, 1
28.71, 100
33.80, 1
41.05, 19
50.86, 40
59.45, 12
67.33, 17
74.79, 4
81.98, 20
89.05, 2

Cell and atoms:
```
data_Ba3Mo
_chemical_formula_sum 'Ba12 Mo4'
_space_group_name_H-M_alt 'F m -3 m'
_space_group_IT_number 225
_space_group_name_Hall '-F 4 2 3'
_cell_length_a 8.7951
_cell_length_b 8.7951
_cell_length_c 8.7951
_cell_angle_alpha 90.00
_cell_angle_beta 90.00
_cell_angle_gamma 90.00
loop_
_atom_site_label
_atom_site_type_symbol
_atom_site_fract_x
_atom_site_fract_y
_atom_site_fract_z
_atom_site_occupancy
Ba1 Ba 0.0000 0.0000 0.0000 1
Ba2 Ba 0.2500 0.2500 0.2500 1
Mo1 Mo 0.0000 0.0000 0.5000 1
```

=====

No. 2
Structure and theoretical powder diffractogram of TlAuO2 (a GGA-PBE-relaxed structure; Cu Kα).
No peak broadening, texture or thermal motion is included.

Main lines, sorted by position (10° ≤ 2θ ≤ 90°):
2θ/deg, intensity
28.19, 36
30.66, 100
34.85, 59
48.51, 30
51.67, 26
57.05, 19
59.90, 27
61.29, 14
81.63, 12
84.22, 12

Cell and atoms:
```
data_TlAuO2
_chemical_formula_sum 'Tl3 Au3 O6'
_space_group_name_H-M_alt 'R -3 m'
_space_group_IT_number 166
_space_group_name_Hall '-R 3 2"'
_cell_length_a 3.5382
_cell_length_b 3.5382
_cell_length_c 18.9914
_cell_angle_alpha 90.00
_cell_angle_beta 90.00
_cell_angle_gamma 120.00
loop_
_atom_site_label
_atom_site_type_symbol
_atom_site_fract_x
_atom_site_fract_y
_atom_site_fract_z
_atom_site_occupancy
Tl1 Tl 0.0000 0.0000 0.0000 1
Au1 Au 0.0000 0.0000 0.5000 1
O1 O 0.0000 0.0000 0.3922 1
```

=====

No. 3
Structure and theoretical powder diffractogram of Mg3TiNi2 (a GGA-PBE-relaxed structure; Cu Kα).
No peak broadening, texture or thermal motion is included.

Main lines, sorted by position (10° ≤ 2θ ≤ 90°):
2θ/deg, intensity
13.19, 86
37.91, 16
40.31, 100
44.06, 21
46.19, 9
46.89, 25
51.54, 9
68.48, 23
82.56, 20
87.11, 9

Cell and atoms:
Lattice parameters (Å, degrees): 11.6267 11.6267 11.6267 90.00 90.00 90.00
Space group Fd-3m (No. 227, origin choice 2)
Unique sites:
1 Mg 0.0676 0.3750 0.3750 [48 per cell]
2 Ti 0.0000 0.0000 0.5000 [16 per cell]
3 Ni 0.0445 0.0445 0.7055 [32 per cell]

~~~~~

(1)
The following is a theoretical powder X-ray diffraction pattern of Ac4LaHg3. It was derived from a cell relaxed with PBE, using Cu Kα (λ = 1.5418 Å).
Lines closer than 0.1° are merged.

Lattice parameters (Å, degrees): 11.264 8.769 5.630 90.00 90.00 90.00
Fractional coordinates of all 16 atoms:
Ac 0.000 0.231 0.000
Ac 0.000 0.769 0.000
Ac 0.250 0.231 0.499
Ac 0.250 0.769 0.499
Ac 0.500 0.231 0.000
Ac 0.500 0.769 0.000
Ac 0.750 0.231 0.501
Ac 0.750 0.769 0.501
La 0.000 0.500 0.500
La 0.500 0.500 0.500
Hg 0.000 0.000 0.500
Hg 0.250 0.000 0.999
Hg 0.250 0.500 0.998
Hg 0.500 0.000 0.500
Hg 0.750 0.000 0.001
Hg 0.750 0.500 0.002
+++
**Here the article continues:**
So far, it is still not clear whether Atlantis existed or not. Romantics believe it did,
continuing to invent new theories, clinging to a few unreliable theories introduced in
the past; modern science, however—oceanography, in particular—proves them wrong.
The most credible explanation of Atlantis is that it must have been Plato’s metaphor
illustrating his philosophical concepts; advocating a utopian society, Plato described a
prosperous civilization which fell the victim of its own greediness, immorality, and
corruption; in this regard, the legend of Atlantis makes perfect sense.